Your job: copy all of the contents underneath with every line break kept.

********
# SiGePt3 (PBE, relaxed)
data_SiGePt3
_cell_length_a 4.5667
_cell_length_b 4.5667
_cell_length_c 4.5667
_cell_angle_alpha 90.00
_cell_angle_beta 90.00
_cell_angle_gamma 90.00
_symmetry_space_group_name_H-M 'P m -3 m'
_symmetry_Int_Tables_number 221
_symmetry_space_group_name_Hall '-P 4 2 3'
loop_
_atom_site_label
_atom_site_type_symbol
_atom_site_fract_x
_atom_site_fract_y
_atom_site_fract_z
Si1 Si 0.0000 0.0000 0.0000
Ge1 Ge 0.5000 0.5000 0.5000
Pt1 Pt 0.0000 0.0000 0.5000
********

# SiGePt3 (PBE, relaxed)
data_SiGePt3
_cell_length_a 4.5667
_cell_length_b 4.5667
_cell_length_c 4.5667
_cell_angle_alpha 90.00
_cell_angle_beta 90.00
_cell_angle_gamma 90.00
_symmetry_space_group_name_H-M 'P m -3 m'
_symmetry_Int_Tables_number 221
_symmetry_space_group_name_Hall '-P 4 2 3'
loop_
_atom_site_label
_atom_site_type_symbol
_atom_site_fract_x
_atom_site_fract_y
_atom_site_fract_z
Si1 Si 0.0000 0.0000 0.0000
Ge1 Ge 0.5000 0.5000 0.5000
Pt1 Pt 0.0000 0.0000 0.5000